Saving the rainforest: 10 years of partnership
This week we're celebrating a phenomenal achievement: 10 years of supporting rainforest charity Cool Earth.
But that’s not the best bit. Our partnership with Cool Earth has also transformed the lives of some incredible rainforest communities. From funding a nutrition and hygiene programme in Peru, to providing our own sewing machines to help women in Papua New Guinea, we’ve strived to go above and beyond when it comes to rainforest protection.

Here are 10 ways we’ve made a difference:
1. We donated sewing machines to Cool Earth’s partners in Papua New Guinea, and now they’re stitching a brighter future for their community and their rainforest. Sewing and making clothes and textiles is a skill many women in Cool Earth’s partner villages already have. With investments in business training and savings groups, they can go that step further; turning their smart ideas into income generating micro businesses that outprice forest destruction.
Next to the page, the page also holds quantum chemistry results.
-- begin --
Record 1
{
  "formula": "C16H11F13N2O",
  "method": "ωB97M-V/def2-TZVPD",
  "e_tot_ev": -57125.34938,
  "smiles": "CCc1ccc(/C=N/NC(=O)C(F)(F)C(F)(F)C(F)(F)C(F)(F)C(F)(F)C(F)(F)F)cc1",
  "spin_multiplicity": 1,
  "gap_ev": 8.8,
  "elements": ["C", "H", "H", "H", "C", "C", "C", "C", "C", "C", "C", "H", "H", "C", "N", "N", "C", "O", "C", "F", "F", "C", "F", "F", "C", "F", "F", "C", "F", "F", "C", "F", "F", "C", "F", "F", "F", "H", "H", "H", "H", "H", "H"],
  "xyz": [[-8.11139, 0.25536, 1.38278], [-9.19616, 0.26503, 1.45470], [-7.72917, -0.55803, 1.99524], [-7.72800, 1.19218, 1.78049], [-7.67545, 0.07643, -0.07381], [-6.17900, 0.06335, -0.16905], [-5.46988, -1.12810, -0.03590], [-4.09275, -1.14144, -0.07770], [-3.38062, 0.04888, -0.25335], [-4.09008, 1.24484, -0.38506], [-5.46908, 1.24712, -0.34188], [-6.00719, 2.17830, -0.44617], [-3.55139, 2.17127, -0.52219], [-1.93574, 0.07069, -0.30120], [-1.27677, -1.01637, -0.18432], [0.08290, -1.06090, -0.21879], [0.97247, -0.06419, -0.36823], [0.77379, 1.11337, -0.51900], [2.43590, -0.64487, -0.36023], [2.58677, -1.55073, 0.63710], [2.65350, -1.32272, -1.51196], [3.50727, 0.46786, -0.21221], [3.51908, 1.22618, -1.31759], [3.19600, 1.26109, 0.82698], [4.93886, -0.10623, 0.05152], [5.16585, -1.19155, -0.70853], [5.01307, -0.50086, 1.33381], [6.06061, 0.93555, -0.25094], [6.21180, 1.03350, -1.58215], [5.69911, 2.14708, 0.19878], [7.44582, 0.59069, 0.38257], [8.31972, 1.53549, -0.00765], [7.36365, 0.65895, 1.72120], [8.03756, -0.79922, -0.00891], [7.95124, -1.01655, -1.31575], [9.31781, -0.85071, 0.33312], [7.40577, -1.78166, 0.62213], [0.41879, -2.01129, -0.10265], [-1.47216, 1.04506, -0.43738], [-3.54153, -2.06263, 0.02285], [-6.01182, -2.05320, 0.09901], [-8.08021, -0.86208, -0.45711], [-8.07897, 0.89506, -0.67258]],
  "forces_ev_per_angstrom": [[-0.1, 0.0, -0.2], [-0.1, 0.0, 0.1], [0.0, -0.1, 0.1], [0.0, 0.1, 0.1], [0.0, 0.0, 0.2], [0.0, 0.1, -0.2], [0.0, 0.1, 0.0], [0.1, 0.2, 0.0], [-0.9, -0.1, 0.0], [0.3, -0.3, 0.0], [-0.2, -0.1, 0.0], [-0.1, 0.1, 0.0], [0.1, 0.1, 0.0], [0.9, 0.3, -0.1], [-0.6, -0.1, 0.0], [0.0, -0.4, 0.1], [0.9, -0.3, 0.0], [-0.3, 0.2, -0.1], [-0.3, 0.1, -0.2], [0.0, 0.1, 0.2], [-0.1, 0.2, -0.2], [0.1, 0.0, 0.1], [0.1, -0.2, -0.2], [-0.1, -0.2, 0.2], [0.0, 0.1, 0.0], [-0.1, 0.1, -0.3], [-0.1, 0.2, 0.1], [0.0, -0.1, -0.1], [0.1, -0.1, 0.0], [0.0, 0.0, 0.3], [0.2, 0.0, 0.0], [-0.1, 0.0, -0.3], [-0.1, -0.1, 0.0], [0.1, -0.1, 0.0], [-0.1, 0.1, -0.2], [0.2, 0.2, 0.2], [-0.2, 0.0, 0.2], [0.0, 0.4, 0.0], [0.1, -0.1, 0.0], [0.0, -0.1, 0.0], [-0.1, -0.1, 0.0], [0.0, 0.0, -0.1], [0.0, -0.1, -0.1]],
  "mulliken_charge": [-1.051, 0.343, 0.329, 0.329, -1.016, 0.798, -0.545, -0.742, 0.862, -0.758, -0.491, 0.394, 0.384, -0.561, -0.942, 0.389, 0.097, -0.576, 1.091, -0.334, -0.305, 0.622, -0.317, -0.294, 0.587, -0.339, -0.310, 0.656, -0.284, -0.295, 0.555, -0.293, -0.257, 0.680, -0.234, -0.260, -0.227, 0.279, 0.552, 0.420, 0.362, 0.349, 0.354]
}



Record 2
{
  "formula": "C16H11FeN4Se",
-- stop --
Back to the page.
2. Carbon storing, oxygen releasing, air cleaning, income supporting, animal homing.
Trees are the lungs of the world, and not to be taken for granted. We’re proud to have protected nearly five million trees in rainforests from Peru to Papua New Guinea.
3. Our Click for the Earth campaign has seen many customers and employees clicking their way to saving over 821 acres of rainforest – that’s 492,555 trees standing safe and sound. It’s a prime example of many small actions all adding up to a hugely positive impact.
4. Trees store carbon from the atmosphere in their roots, leaves and branches. Carbon that’s released by slash and burn and deforestation. That’s why, when looking to reduce our carbon footprint, rainforest is the best place to start. The rainforest that we’ve protected is keeping over two million tonnes of carbon locked up, which is the equivalent of driving around the Earth 200 times.
5. We think it’s important to eliminate avoidable waste and focus on positive action. As such, we run a return and recycle scheme [insert link to recycling page] for customers. In exchange for customers returning their used ink and toner cartridges to us for recycling or remanufacturing, we help Cool Earth protect trees.

7. Papua New Guinea is a country of incredible diversity. Home to over 800 languages and thousands of species, it is also threatened by the rising tide of palm oil. We’ve been at Cool Earth’s side in the country since 2015 as a key funder of their Wabumari and Gadaisu partnerships. With 33 scholarships awarded to community members and 40 members of the Dabu bakery cooperative, sustainable incomes are ensuring communities are economically resilient enough to resist advancing palm oil plantations.
8. Improving healthcare in the Peruvian rainforest is so much more than just providing funds for emergency evacuations. It’s about empowerment. Our support has helped community members in the Asháninka register for national ID, access support schemes and assist with emergency evacuations to hospital when needed.
9. Building sustainable livelihoods for those living in rainforest communities is vital in fighting against loggers and protecting trees. In Peru, our backing has resulted in 180 families benefiting from cacao farming, 82 families growing coffee and 42 families growing rice.
10. The world’s rainforests are the most biodiverse places on Earth, sheltering millions of species. By keeping them protected, we’re helping to ensure the longevity of endangered species in the Peruvian Amazon such as the Spectacled Bear, Grauer’s Gorilla in Democratic Republic of Congo and the Southern Crowned Pigeon in Papua New Guinea.
To find out more about Cool Earth, visit coolearth.org.